# Activity
Count the lines below that contain the word "degrees" and give the number alone.

# File
/*
Entry 1:
# Ca2ScRe
Calculated powder diffraction line list, Cu Kα, 1.54184 Å. Input: a structure optimized by DFT (GGA-PBE).
Intensities are scaled so that the largest is 100.

Structure:
```
Ca2ScRe
1.0
7.1322 0.0000 0.0000
0.0000 7.1666 0.0000
0.0000 0.0000 7.2086
Ca Sc Re
8 4 4
direct
0.0000 0.0000 0.0000
0.0000 0.5000 0.5000
0.2500 0.2500 0.2500
0.2500 0.7500 0.7500
0.5000 0.0000 0.5000
0.5000 0.5000 0.0000
0.7500 0.2500 0.7500
0.7500 0.7500 0.2500
0.0000 0.0000 0.5000
0.0000 0.5000 0.0000
0.5000 0.0000 0.0000
0.5000 0.5000 0.5000
0.2500 0.2500 0.7500
0.2500 0.7500 0.2500
0.7500 0.2500 0.2500
0.7500 0.7500 0.7500
```

The 10 most intense peaks (5 to 70 degrees two-theta), low angle first:
2θ = 21.5°, d = 4.139 Å, intensity 69; 2θ = 24.7°, d = 3.604 Å, intensity 12; 2θ = 35.4°, d = 2.538 Å, intensity 100; 2θ = 35.5°, d = 2.528 Å, intensity 49; 2θ = 41.6°, d = 2.170 Å, intensity 13; 2θ = 41.8°, d = 2.161 Å, intensity 13; 2θ = 42.0°, d = 2.153 Å, intensity 13; 2θ = 63.4°, d = 1.467 Å, intensity 17; 2θ = 63.6°, d = 1.463 Å, intensity 17; 2θ = 63.8°, d = 1.460 Å, intensity 17

Entry 2:
# Cu2Bi2As
Calculated powder diffraction line list, Cu Kα, 1.54184 Å. Input: a structure optimized by DFT (GGA-PBE).
Intensities are scaled so that the largest is 100.

Structure:
```
Cu2Bi2As
1.0
7.0154 0.0000 0.0000
0.0000 7.0154 0.0000
0.0000 0.0000 4.2796
Cu Bi As
4 4 2
direct
0.1263 0.3737 0.0000
0.3737 0.8737 0.0000
0.6263 0.1263 0.0000
0.8737 0.6263 0.0000
0.1752 0.6752 0.5000
0.3248 0.1752 0.5000
0.6752 0.8248 0.5000
0.8248 0.3248 0.5000
0.0000 0.0000 0.0000
0.5000 0.5000 0.0000
```

The 10 most intense peaks (5 to 70 degrees two-theta), low angle first:
2θ = 20.8°, d = 4.280 Å, intensity 11; 2θ = 25.4°, d = 3.508 Å, intensity 10; 2θ = 28.4°, d = 3.137 Å, intensity 22; 2θ = 33.0°, d = 2.713 Å, intensity 39; 2θ = 35.5°, d = 2.530 Å, intensity 100; 2θ = 40.7°, d = 2.218 Å, intensity 24; 2θ = 42.2°, d = 2.140 Å, intensity 19; 2θ = 53.9°, d = 1.701 Å, intensity 12; 2θ = 58.4°, d = 1.581 Å, intensity 20; 2θ = 60.0°, d = 1.541 Å, intensity 27

Entry 3:
# La7Tb16Y6
Calculated powder diffraction line list, Cu Kα, 1.54184 Å. Input: a structure optimized by DFT (GGA-PBE).
Intensities are scaled so that the largest is 100.

Structure:
```
La7Tb16Y6
1.0
0.0000 8.0047 8.0047
8.0047 0.0000 8.0047
8.0047 8.0047 0.0000
La Tb Y
7 16 6
direct
0.0000 0.0000 0.0000
0.0000 0.0000 0.5000
0.0000 0.5000 0.0000
0.0000 0.5000 0.5000
0.5000 0.0000 0.0000
0.5000 0.0000 0.5000
0.5000 0.5000 0.0000
0.0397 0.6534 0.6534
0.1280 0.1280 0.1280
0.1280 0.1280 0.6161
0.1280 0.6161 0.1280
0.3466 0.3466 0.3466
0.3466 0.3466 0.9603
0.3466 0.9603 0.3466
0.3839 0.8720 0.8720
0.6161 0.1280 0.1280
0.6534 0.0397 0.6534
0.6534 0.6534 0.0397
0.6534 0.6534 0.6534
0.8720 0.3839 0.8720
0.8720 0.8720 0.3839
0.8720 0.8720 0.8720
0.9603 0.3466 0.3466
0.2625 0.2625 0.7375
0.2625 0.7375 0.2625
0.2625 0.7375 0.7375
0.7375 0.2625 0.2625
0.7375 0.2625 0.7375
0.7375 0.7375 0.2625
```

The 10 most intense peaks (5 to 70 degrees two-theta), low angle first:
2θ = 11.1°, d = 8.005 Å, intensity 9; 2θ = 29.0°, d = 3.081 Å, intensity 9; 2θ = 31.6°, d = 2.830 Å, intensity 100; 2θ = 33.1°, d = 2.706 Å, intensity 10; 2θ = 33.6°, d = 2.668 Å, intensity 7; 2θ = 40.6°, d = 2.220 Å, intensity 7; 2θ = 45.3°, d = 2.001 Å, intensity 13; 2θ = 52.0°, d = 1.757 Å, intensity 7; 2θ = 56.3°, d = 1.634 Å, intensity 25; 2θ = 66.0°, d = 1.415 Å, intensity 7

Entry 4:
# MgRuSe
Calculated powder diffraction line list, Cu Kα, 1.54184 Å. Input: a structure optimized by DFT (GGA-PBE).
Intensities are scaled so that the largest is 100.

Structure:
```
MgRuSe
1.0
4.2076 0.0000 0.0000
0.0000 4.2076 0.0000
0.0000 0.0000 6.0163
Mg Ru Se
2 2 2
direct
0.2500 0.2500 0.1926
0.7500 0.7500 0.8074
0.2500 0.7500 0.5000
0.7500 0.2500 0.5000
0.2500 0.2500 0.7438
0.7500 0.7500 0.2562
```

The 10 most intense peaks (5 to 70 degrees two-theta), low angle first:
*/

# Reply
4